Toolbar Menu Overview

Image of the Menu Bar

Access tools via the menu bar at the top of the page.

Toggle Legend Toolbar

By default, the Legend Panel ( Image of the Legend icon ) appears in upper right corner of the map area. By clicking on the ( Image of the Legend icon ) icon in the menu bar will allow hiding or displaying the legend panel. Hiding the panel will allow more visible real estate for viewing of the map and other features.

Image of the Legend Panel

Basemap Gallery Toolbar

By selecting the "Basemap Gallery" icon ( Image of the basemap-gallery icon ) from the menu bar a list of 5 map choices will appear under the menu.

Image of the Basemap Gallery

Navigator provides five (5) different selections to pick from for defining your base map layer. The default selection is "Streets" map. Once you have selected your base map you can click on the "x" in the local window menu or click on the icon ( Image of the basemap-gallery icon ) again to close the gallery map menu.

Road View Toolbar

Navigator Road View tool ( Image of the Road View icon ) provides three components, 1) the road viewer, 2) road data set matrix, and 3) the car symbol to indicate where the location is along the road segment. As you progress through the park the pictures change, the highlight line in the road matrix changes indicating where you are at along that road segment and the car symbol will move along the road map to indicate your map location.

The Road Viewer tool provides three different views from a single position as you travel through a park. The Front view, is as if your were driving the vehicle down the road. The right side will display any road side features or sign-age on the right. The rear view position will display the other directions road side features or sign-age. The header block will display "Route Identifier" (park code and route number), mile post (MP) number (two-tenth of a mile segments).

Image of the Road Viewer

The Road data set matrix tool provides the user with a mile post road position details. The mile post (MP) increment is set at two-tenth of a mile. By default, the full list of road elements are displayed. The user has the ability to turn off any data elements that are not needed.

Note: User can click on any of the header labels to activate an ascending or descending sort list.
As the user progress through the viewer the list of elements will be updated and the highlighted line will indicate where the user is at along the mileposts markers.

Image of the Road Viewer grid

In the right corner of the matrix may show a "+" sign by clicking on it will create a window that shows all available data elements for road details.

Image of the Road Viewer grid Option Tool

The user may check or un-check any of the boxes to add or remove/hide unwanted data elements to be displayed in the matrix.

Image of the Road Viewer grid data elements

A car symbol Image of the car icons will display on the base map indicating where the user is located along the road segment. The car symbol will move along the road as video (pictures) progress along the road.

Image of the Road Viewer grid

Query Toolbar

The Query tool ( Image of the Query Tool icon ) provides options for selecting data by adding conditions to layers of interest.

Image of the query tool

The following are steps to create a simple query.

The user selects a dataset layer from a drop down list located on the right side of the query window. By clicking on the drop down arrow a list of available dataset will be displayed.

Image of the query tool dropdown list

Once the dataset is selected the user can than pick and choose what data fields from that dataset to be display. In the right corner of the query window their may show a "+" sign by clicking on it will create a window that shows all available dataset query fields.

Image of the query tool data field list button

The user may check or un-check any of the check boxes to add or remove/hide unwanted data elements to be displayed in the query results.

Image of the query tool data field list

The user can than choose either "Select" or "Query" to start the query process. The third button "Export" is used once the user has completed their query and the results are shown in the output matrix.

Image of the Query Button

  • If the user picks the "Select" button they will then use the mouse to create a selected area over the map to restrict their query too. As the user moves the mouse over the map a floating note will appear providing what actions are needed.
  • Image of the query tool data field list

    The selected area will be outlined in red on the map to display the query area.

_What comes next are data records, not part of the entry_
+++
Structure and calculated powder X-ray diffraction pattern of Tl4Mo5O17 (a crystal structure in Alexandria, relaxed with GGA+U; copper Kα).
Peak positions follow from Bragg's law for the DFT cell and can differ from measured ones.

Principal peaks in the range 10 to 90 degrees two-theta, sorted by position:
2θ (°)	I_rel	index
24.93	479	0 0 3
25.20	1000	2 -1 0
26.22	323	1 0 3
26.55	241	2 2 0
26.71	642	0 3 2
27.03	317	1 3 2
28.19	729	0 3 -1
29.75	278	2 2 -1
31.86	209	2 2 3
45.24	285	2 -4 1

```
Tl4Mo5O17
1.0
7.968 0.000 0.000
1.714 10.961 0.000
1.633 2.523 10.717
Tl Mo O
8 10 34
Cartesian
1.220 1.623 2.158
4.604 8.641 9.625
5.275 10.446 5.680
4.870 8.554 2.321
6.444 4.930 8.396
6.039 3.039 5.036
6.711 4.843 1.092
10.095 11.862 8.558
2.532 4.825 8.729
2.270 3.440 5.615
2.676 5.382 2.944
3.273 6.771 6.087
6.106 12.464 8.944
5.209 1.021 1.772
8.041 6.714 4.629
8.638 8.103 7.772
9.044 10.045 5.102
8.782 8.659 1.988
1.924 9.707 3.467
1.002 2.632 4.699
1.501 7.012 2.980
1.591 5.458 4.915
2.041 8.587 0.752
1.547 4.421 1.989
3.300 3.050 9.067
3.907 5.702 9.397
3.647 5.006 6.660
3.884 6.763 4.408
3.426 4.004 4.003
3.418 2.169 6.053
4.399 7.780 6.957
5.175 11.072 8.300
3.926 5.848 1.785
3.750 0.726 2.744
6.648 12.008 10.550
4.667 1.477 0.167
7.564 12.758 7.972
7.388 7.637 8.931
6.139 2.413 2.417
6.915 5.705 3.760
7.896 11.316 4.664
7.888 9.481 6.714
7.430 6.722 6.309
7.668 8.479 4.056
7.407 7.782 1.320
8.015 10.435 1.650
9.767 9.063 8.728
9.273 4.898 9.965
9.724 8.027 5.801
9.813 6.472 7.737
10.313 10.853 6.017
9.390 3.778 7.250
```

* * * * *

Record 1
For Na2PHO4, a cell relaxed with GGA-PBE gives the calculated PXRD pattern in this record (Cu Kα, 1.54184 Å).
Intensities are scaled so that the largest is 100.

Structure:
```
data_Na2PHO4
_cell_length_a 5.5455
_cell_length_b 6.8979
_cell_length_c 5.5573
_cell_angle_alpha 90.00
_cell_angle_beta 116.56
_cell_angle_gamma 90.00
_symmetry_space_group_name_H-M 'P 1'
_symmetry_Int_Tables_number 1
loop_
_symmetry_equiv_pos_as_xyz
'x,y,z'
loop_
_atom_site_label
_atom_site_type_symbol
_atom_site_fract_x
_atom_site_fract_y
_atom_site_fract_z
Na1 Na 0.0026 0.0000 0.4914
Na2 Na 0.3927 0.2502 0.2786
Na3 Na 0.6073 0.7502 0.7214
Na4 Na 0.9974 0.5000 0.5086
P1 P 0.3347 0.7618 0.1173
P2 P 0.6653 0.2618 0.8827
H1 H 0.0337 0.5195 0.0313
H2 H 0.9663 0.0195 0.9687
O1 O 0.2077 0.9389 0.1933
O2 O 0.2103 0.5701 0.1942
O3 O 0.2432 0.7543 0.8129
O4 O 0.3615 0.2527 0.7034
O5 O 0.6385 0.7527 0.2966
O6 O 0.7568 0.2543 0.1871
O7 O 0.7897 0.0701 0.8058
O8 O 0.7923 0.4389 0.8067
```

Most intense lines, 2θ = 10–90°, sorted by position:
2θ (°)  I_rel
22.07  39
22.82  50
25.83  20
30.63  28
31.59  100
32.30  70
44.98  20
46.62  20

Record 2
For Na2PHO3, a cell relaxed with GGA-PBE gives the calculated PXRD pattern in this record (Cu Kα, 1.54184 Å).
Intensities are scaled so that the largest is 100.

Structure:
```
data_Na2PHO3
_cell_length_a 5.1639
_cell_length_b 7.0845
_cell_length_c 10.8443
_cell_angle_alpha 90.00
_cell_angle_beta 115.95
+++

    Image of the query tool data field list

  • If the user picks the "Query" button.
  • Image of the query tool data field list

    A window will appear to assist in creating the query. Use the drop downs to define your search conditions.

    Image of the query tool data field list

  • If the user picks the "Export" button.
  • Image of the query export tool

    Once the user has the desired query results. A window will appear to assist in exporting the data to the local machine. The user can use the default file name or define their own file name. The user has two output formats choices to pick from. The user can export the results as a table in ‘csv’ or ‘xsls’.

    Image of the query Export window

    Measurement Toolbar

    The Measurement tool ( Image of the Measurement Tool icon ) contains tools that allow you to find plot coordinates, measure an area or distance.

    Image of the Measurement tool window

    The "location" coordinates tool Image of the location toolallows you to find the Latitude and Longitude of a specific location. The Location tool opens a sub-menu to select what feature unit type you want to display results in.

    Image of the location options

    The "distance" tool Image of the location toolallows you to draw and display on the map the total running distance between two or more points. The distance tool opens a sub-menu to to allow you to select what feature unit type you want measure in and display your results in. You locate your starting point (single click) and continue to do single clicks to step along your path. To stop drawing, double click your final point. The results are in your measurement results window.

    Image of the location options

    The "area" tool Image of the location toolallows you to draw and display on the map the total running area between three or more points. The area tool opens a sub-menu to select what feature unit type you want to measure in and display your results in. You locate your starting point (single click) and continue to do single clicks to step along your area path. To stop drawing, double click your final point. The results are in your measurement results window.

    Image of the location options


    The Print ( Image of the Print icon ) icon allows you to print the map with selected layer features and/or items placed on the map, less the legend.

    Image of the Print icon

    Draw Tool

    The Draw tool ( Image of the Draw tool icon ) contains actions like starts,stop and clearing the screen of any drawing content.

    Image of the Draw List Menu

    Report Drop-down list

    The Reports list ( Image of the Downward sort icon ) provides a list from a drop down of standard reports.

    Image of the Reports List Menu

    The "BIP Report" create a new window or tab to provide a list of available Bridge Inspection Program (BIP) reports. The bridge reports are sorted by park alpha code in descending order. The page displays basic details like bridge name and structure number. The user can then click on the structure number link or the BIP Report PDF icon to open the report.

    The "GIP/WIP Report" create a new window or tab to provide a list of available Wall Inventory Program (WIP) or Guardwall/Rail Inventory Program (GIP) reports. The reports are sorted by park alpha code in descending order. The page displays basic details like park name and structure number. The user can then click on the PDF icon to open the report.

    The "RIP Report" create a new window or tab to provide a list of available Roadway Inventory Programs (RIP) reports. The report are sorted by park alpha code in descending order. The page displays a grid like structure sorted by park order. The grid provides basic details by cycle. The user can then click on the PDF icon to open the report.

    The "National Transit Inventory" drop down menu item creates a new window or tab to a link to U.S. Department of Transportation Volpe Center website.

    RIP Cycle Drop-down list

    The RIP Cycle list ( Image of the Downward sort icon ) allows the user to select which cycle data to display on the base map. The selected RIP cycle will also be displayed in the legend provided it is actively displayed.

    Image of the RIP Cycle List

    Info Drop-down list

    The Info list ( Image of the Downward sort icon ) provides a list of helpful pop-up windows, links or reference subjects.

    Image of the Information List

    Search Text box

    The Search text box allows the user to perform search of primary key indexes like Park names, Park Alpha code, Routes, Bridge Structure Number, Guard / Retaining Wall Barrier ID, Crash Incident Number.

    Image of the Search Box